Haul out Baby Yoda and take a seat on your meditation pillow.
This is a simple take on what I have seen to be a profound truth.
In my ongoing numerology practice, I observe that there are two universal patterns many people have. And these patterns show up as these consistent questions.
The first: Why is my life SO HARD?
The second: I know I’m special, but no one understands me.
Or: I know I was meant to do something special. What the hell is it?
And now for the Baby Yoda Moment:
What I have also observed is:
The Question is the Answer.
The Problem is the Solution.
And the sooner we can pivot our perspective to not only accept this universal truth, but to embrace and embody it, the more we open ourselves to our true passions, true purpose, and true destiny.
Let’s look at how this might show up, by Life Path number.
And for those of you who know your full numerology profile, you might also read for your Expression or Destiny number and for your Birthday number. Don’t know your full numerology profile? You can order one here.
1 Life Path
The Question: Why do I always feel as though no one supports me and my ideas?
The Answer: Because you’re learning how to be self-reliant, trust your inner voice, and to blaze your own path. If you had nothing to push against, you wouldn’t learn how to forge your way, against all odds!
The Problem: Gaining your independence, asserting yourself in a healthy and dynamic way, and developing and trusting your creativity and your skill set can often feel impossible and unfair.
The Solution: Stepping into yourself and gaining a level of self-mastery and creative leadership is THE POINT of your life. You find yourself again and again in relationships and situations where you must fight for your sovereignty, where you must extract yourself from difficult co-dependent relationships, and where you must push through barriers in order to act upon your unique creative vision. Rather than bemoan why it’s SO HARD, you benefit from pivoting your expectations and enjoy the challenges as people in your life and experiences you have provide you with ample opportunities to dig in and master your life’s work.
2 Life Path
The Question: Why do I always do everything for everyone else and no one does anything for me?
The Answer: Because you’re learning how to create strong and supple emotional boundaries. If you had nothing to push against, you wouldn’t learn how to stand up for yourself and define your values and align yourself with who you truly are!
The Problem: Being too emotionally giving (and sensitive!), avoiding conflict by trying to please others, and denying your intuitive gifts can often feel heavy and difficult.
The Solution: Becoming a master mediator and a conduit of love is THE POINT of your life. You find yourself again and again in relationships and situations where you must define your boundaries (and act upon them!), use patience consistently and lovingly, and mediate win/win outcomes in every aspect of your life. Rather than bemoan why it’s SO HARD, you benefit from pivoting your expectations and enjoy the challenges as people in your life and experiences you have provide you with ample opportunities to dig in and master your life’s work.
Master 11/2 Life Path: Read for BOTH the Life Path 1 (and double it!) and for Life Path 2.
The Question: I know I’m special. Why can’t I make things happen that are as “big” or as important as I think they should be?
The Answer: Because you’re learning how to manage and act upon disparate energies. Your task is to level the ego and also accept and act upon your calling as a spiritual force of nature. Yet no one will hand it to you on a silver platter! You’ll be required to walk through the practical steps in order to bring your visions into reality on planet earth.
The Problem: Being too emotionally sensitive, avoiding or inciting conflict, and not understanding your intuitive gifts can often feel confusing and unfair.
The Solution: Becoming a point of healing, spiritual illumination (for yourself and for others), and a creative powerhouse is THE POINT of your life. You find yourself again and again in relationships and situations where you must define your boundaries (and act upon them!), use patience consistently and lovingly, and step into leadership roles. Rather than bemoan why it’s SO HARD, you benefit from pivoting your expectations and enjoy the challenges as people in your life and experiences you have provide you with ample opportunities to dig in and master your life’s work.
3 Life Path
The Question: Why do I reject or downplay my communication skills and my creativity?
The Answer: Because you’re learning how to move through emotional blockages and use those experiences to inspire others and to heal yourself. If you had nothing to push against, you wouldn’t learn how to identify your emotions and express them, nor would you learn how to move past emotional lows and inspire yourself and others with your words and with your creativity!
The Problem: Being too emotionally permeable, fearful of criticism, and working through trauma can often feel overwhelming and depressing.
The Solution: Becoming a master of impeccable communication and a creative powerhouse is THE POINT of your life. You find yourself again and again in relationships and situations where you must locate and express your feelings, trust your creative ideas (and act upon them with follow through!), and do it all with a sense of fun, joy, and optimism. Rather than bemoan why it’s SO HARD, you benefit from pivoting your expectations and enjoy the challenges as people in your life and experiences you have provide you with ample opportunities to dig in and master your life’s work.
4 Life Path
The Question: Why does everything seem so hard for me when other people have it so easy?
The Answer: Because you’re learning how to set up systematic ways of doing things that ultimately are meant to make your life easier and more productive. If you had nothing to push against, you wouldn’t learn how to define your goals, wants, and needs and come up with a longer term plan to bring those plans into reality, nor would you learn how to get your “root system” planted and be in it for the long haul!
The Problem: Self-limiting behaviors, working hard (but not necessarily ‘smart’), and working through family issues can often feel weighty and exhausting.
The Solution: Becoming a master of effective step-by-step processes is THE POINT of your life. You find yourself again and again in relationships and situations where you must stay the course and work hard to get where you want to go, not be so stubborn and headstrong and ask for support or help in order to get where you’re going, and do it with flexibility. Rather than bemoan why it’s SO HARD, you benefit from pivoting your expectations and enjoy the challenges as people in your life and experiences you have provide you with ample opportunities to dig in and master your life’s work.
Master 22/4 Life Path: Read for BOTH the Life Path 2 (and double it!) and for Life Path 4.
The Question: I know I’m special. Why do I have to work so much harder than everyone else?
The Answer: Because you’re learning how to manage and act upon disparate energies. Your task is to level the ego and also accept and act upon your calling as a master builder whose role is to be a master teacher and also someone who creates something of lasting value.
The Problem: Being emotionally sensitive or volatile, micromanaging and spinning wheels, and wanting to skip over the valuable steps in the process can often feel tiring and unfair.
The Solution: Becoming a powerful manifester of systems, ideas, or products that serve to improve the lives of others on a daily basis is THE POINT of your life. You find yourself again and again in relationships and situations where you must work through issues with your family dynamics, get out of your own way, and think outside of your own box. Rather than bemoan why it’s SO HARD, you benefit from pivoting your expectations and enjoy the challenges as people in your life and experiences you have provide you with ample opportunities to dig in and master your life’s work.
5 Life Path
The Question: Why can’t I focus on something and feel satisfied with my life? Why do I always feel like I have one foot in and one foot out?
The Answer: Because you’re learning how to explore the sensual and tactile nature of the world while also examining how to gain the most freedom out of life. If you had nothing to push against, you wouldn’t learn how to find inner freedom within restricting circumstances, nor would you learn how to face fears and soak in all the experiences life has to offer!
The Problem: Addictive or escapist behaviors, not branching out because you’re afraid to explore, and having difficult focusing and following through to achieve the results you long for can often feel frustrating and overwhelming.
The Solution: Becoming a master of finding your personal levels of freedom constructively and wisely is THE POINT of your life. You find yourself again and again in relationships and situations where you must learn when to stay and when to go, how to gain the “highs” you crave in productive and healthy ways, and create the freedoms you want (physical, emotional, financial, spiritual) with focused discipline. Rather than bemoan why it’s SO HARD, you benefit from pivoting your expectations and enjoy the challenges as people in your life and experiences you have provide you with ample opportunities to dig in and master your life’s work.
6 Life Path
The Question: Why can’t everyone and everything live up to my standards?
The Answer: Because you’re learning how to be a guiding and loving force while also balancing an overweening sense of responsibility. If you had nothing to push against, you wouldn’t learn how to lean into your magnetic idealism, nor would you learn how to nurture others while modulating and balancing your responsibilities with the responsibilities of others!
The Problem: Feeling the need for absolute control (without knowing how much so!), not ever feeling satisfied because of high levels of perfectionism, and often defaulting to over-giving and enabling can often feel exasperating and infuriating.
The Solution: Becoming a cosmic parent and creative visionary is THE POINT of your life. You find yourself again and again in relationships and situations where you must learn how to help and support without attachment to the outcome, how to define yourself and your wants and needs, and devoting yourself to loving and balanced relationships within the home and family. Rather than bemoan why it’s SO HARD, you benefit from pivoting your expectations and enjoy the challenges as people in your life and experiences you have provide you with ample opportunities to dig in and master your life’s work.
Master 33/6 Life Path: Read for BOTH the Life Path 3 (and double it!) and for Life Path 6.
The Question: I know I’m special. Why does everyone walk all over me?
The Answer: Because you’re learning how to manage and act upon disparate energies. Your task is to level the ego and also accept and act upon your calling as a teacher of unconditional love while using your creative gifts to inspire and uplift on all planes.
The Problem: Feeling the need for absolute control (without knowing how much so!), experiencing extreme self-doubt, and often defaulting to over-giving and enabling can often feel exasperating and infuriating.
The Solution: Becoming a reliable, fun, creative, joyful nurturing presence is THE POINT of your life. You find yourself again and again in relationships and situations where you must work through issues with emotional trauma, with skewed idealistic expectations about the world at large and the people in your personal world, and to embrace your intuitive sensitivity. Rather than bemoan why it’s SO HARD, you benefit from pivoting your expectations and enjoy the challenges as people in your life and experiences you have provide you with ample opportunities to dig in and master your life’s work.
7 Life Path
_Calculated crystals, kept here for reference_
/*
[1]
The following is a theoretical powder diffraction line list of Rb2LiCoC6N6. It was derived from a GGA-PBE-relaxed structure, using λ = 1.5418 Å (Cu Kα).
Peak positions follow from Bragg's law for the DFT cell and can differ from measured ones.

Most intense lines, 15° ≤ 2θ ≤ 90°, by angle:
| d_spacing | 2theta | Rel. int. | h k l |
| --- | --- | --- | --- |
| 3.746 | 23.75 | 23.2 | 0 2 0 |
| 3.662 | 24.31 | 100.0 | 1 1 1 |
| 3.606 | 24.69 | 26.4 | 2 0 -2 |
| 3.102 | 28.78 | 17.2 | 2 1 -1 |
| 3.032 | 29.46 | 21.4 | 0 2 2 |
| 2.956 | 30.23 | 25.5 | 2 0 0 |
| 2.598 | 34.53 | 35.7 | 2 2 -2 |
| 2.581 | 34.76 | 24.4 | 0 0 4 |
| 2.300 | 39.16 | 18.9 | 1 3 -2 |
| 2.095 | 43.18 | 16.7 | 3 1 -1 |

Cell and atoms:
```
32
Lattice="7.2118 0.0000 0.0000 0.0000 7.4918 0.0000 -7.1811 0.0000 10.3246" Properties=species:S:1:pos:R:3 pbc="T T T"
Rb -0.0863 0.4062 2.5871
Rb -3.6768 3.3397 7.7494
Rb 3.7076 4.1521 2.5752
Rb 0.1170 7.0856 7.7375
Li -3.5905 0.0000 5.1623
Li 0.0000 3.7459 0.0000
Co 3.6059 0.0000 0.0000
Co 0.0154 3.7459 5.1623
C -5.0963 1.0746 10.0851
C -1.5058 2.6713 4.9228
C -1.0175 5.2895 4.8852
C -4.6080 5.9482 10.0474
C -3.2290 0.0762 8.4838
C 0.3616 3.6697 3.3215
C -0.3308 3.8221 7.0030
C 3.2597 7.4156 1.8408
C 4.6388 1.5436 0.2771
C 1.0482 2.2023 5.4394
C 1.5365 4.8205 5.4018
C 5.1271 6.4172 0.2395
N -6.0391 1.7602 9.9328
N -2.4486 1.9857 4.7705
N -5.2581 4.9843 9.8735
N -1.6676 6.2534 4.7113
N -3.0306 0.1369 7.3272
N 0.5599 3.6090 2.1650
N -0.5292 3.8828 8.1596
N 3.0613 7.3549 2.9973
N 1.6983 1.2384 5.6133
N 5.2888 2.5075 0.4510
N 2.4793 5.5061 5.5541
N 6.0699 5.7316 0.3918
```

***

[2]
The following is a theoretical powder diffraction line list of LuCoC. It was derived from a GGA-PBE-relaxed structure, using λ = 1.5418 Å (Cu Kα).
Peak positions follow from Bragg's law for the DFT cell and can differ from measured ones.

Most intense lines, 15° ≤ 2θ ≤ 90°, by angle:
| d_spacing | 2theta | Rel. int. | h k l |
| --- | --- | --- | --- |
| 3.611 | 24.66 | 19.4 | 0 0 1 |
| 3.458 | 25.77 | 22.3 | 1 0 0 |
| 2.497 | 35.96 | 100.0 | 1 0 1 |
| 2.445 | 36.76 | 56.2 | 1 1 0 |
| 2.024 | 44.77 | 15.9 | 1 1 1 |
| 1.805 | 50.56 | 11.1 | 0 0 2 |
| 1.732 | 52.87 | 9.7 | 0 2 0 |
| 1.452 | 64.12 | 21.2 | 1 1 2 |
| 1.423 | 65.62 | 17.3 | 1 2 1 |
| 1.420 | 65.76 | 17.2 | 2 1 1 |

Cell and atoms:
```
3
Lattice="3.4514 0.0000 0.0000 0.0000 3.4636 0.0000 0.0000 0.0000 3.6106" Properties=species:S:1:pos:R:3 pbc="T T T"
Lu 0.0000 0.0000 0.0000
Co 1.7257 1.7318 1.8053
C 1.7257 1.7318 0.0000
```

***

[3]
The following is a theoretical powder diffraction line list of LuCoC. It was derived from a GGA-PBE-relaxed structure, using λ = 1.5418 Å (Cu Kα).
Peak positions follow from Bragg's law for the DFT cell and can differ from measured ones.

Most intense lines, 15° ≤ 2θ ≤ 90°, by angle:
| d_spacing | 2theta | Rel. int. | h k l |
| --- | --- | --- | --- |
| 3.597 | 24.75 | 30.6 | 1 0 0 |
| 3.297 | 27.05 | 9.8 | 0 0 2 |
| 2.543 | 35.29 | 51.9 | 1 1 0 |
*/
The Question: Why I am even hanging around in a physical body anyway?
The Answer: Because you’re learning how to be an intuitive laser beam and shine light on some aspect of the intricacies of the universe. If you had nothing to push against, you wouldn’t learn how to trust your mind/body/spirit, nor would you learn how to savor and enjoy the process of delving into the meaning of life from the depths of your soul!
The Problem: Confusion and frustration, not ever feeling satisfied because of high levels of perfectionism, and over-intellectualizing can often feel draining and hopeless.
The Solution: Becoming a spiritual warrior and healthy skeptic is THE POINT of your life. You find yourself again and again in relationships and situations where you must learn how to trust yourself (others, and the flow of life), how to combine your intuitive gifts with your rational mind, and let go of frustration because of perfectionism or feeling so out of place. Rather than bemoan why it’s SO HARD, you benefit from pivoting your expectations and enjoy the challenges as people in your life and experiences you have provide you with ample opportunities to dig in and master your life’s work.
8 Life Path
The Question: Why do I have to fight so hard for what is mine?
The Answer: Because you’re learning how to understand the demands of the material world and learn how to empower yourself and achieve something substantial. If you had nothing to push against, you wouldn’t learn how to stand up for yourself, nor would you learn how to create the financial abundance required to have the influence and power that is your birthright!
The Problem: Self-sabotaging behaviors, feeling victimized, and struggling with money and power issues can often inspire feelings of anger and defeat.
The Solution: Becoming a powerful influence in your life and world is THE POINT of your life. You find yourself again and again in relationships and situations where you must learn how to empower yourself without resorting to being the one who abuses power (power vs. force!), how to master your financial life, and to use your influence for the common good. Rather than bemoan why it’s SO HARD, you benefit from pivoting your expectations and enjoy the challenges as people in your life and experiences you have provide you with ample opportunities to dig in and master your life’s work.
9 Life Path
The Question: Why can’t everyone just get along and love each other?
The Answer: Because you’re learning how to be the voice of compassion and a servant to humanity (not to get all lofty or anything). If you had nothing to push against, you wouldn’t learn how to develop healthy detachment, nor would you learn how to flow with your quirky, creative, and charismatic contributions to the world and to individuals!
The Problem: Bitterness and regret, feeling victimized when you experience losses, and dealing with feeling misunderstood.
The Solution: Becoming a conduit for universal wisdom and selfless service is THE POINT of your life. You find yourself again and again in relationships and situations where you must learn how to embrace your unique creativity and make it work for you (and for others!), how to put your heart and soul into everything you do, and to savor the beauty of impermanence and change. Rather than bemoan why it’s SO HARD, you benefit from pivoting your expectations and enjoy the challenges as people in your life and experiences you have provide you with ample opportunities to dig in and master your life’s work.